## File
Below is a relaxed structure of Sr2CaTi3O9, with properties calculated at the GGA-PBE level.

Output
DFT formation energy   -341.71 kJ/mol of atoms
E (MP2020)   -0.3105 Ha/atom
Total moment   0.00 μB/f.u.
Mass density   4.61 Mg/m³

Lattice parameters (Å, degrees): 5.5547 9.5950 13.5989 89.65 89.83 89.88
Positions (direct):
O: 0.7318 0.8897 0.4208
Sr: 0.9963 0.8343 0.5839
Ca: 0.4968 0.3333 0.0838
O: 0.2386 0.6024 0.5752
O: 0.4956 0.8185 0.0696
Sr: 0.5099 0.3330 0.5831
O: 0.2577 0.4340 0.9139
O: 0.4964 0.1520 0.4021
Ti: 0.0068 0.8363 0.8345
O: 0.2592 0.4036 0.4279
O: 0.4978 0.8530 0.6030
O: 0.7589 0.7315 0.7517
O: 0.9926 0.6798 0.9319
O: 0.2385 0.2369 0.7590
Sr: 0.9962 0.1659 0.9160
Ti: 0.0068 0.1714 0.1678
O: 0.4971 0.1852 0.9350
O: 0.7309 0.9296 0.9018
O: 0.2577 0.0739 0.0940
O: 0.2388 0.8990 0.4270
O: 0.2390 0.9339 0.9105
O: 0.7307 0.2259 0.7536
O: 0.7612 0.7584 0.2370
Sr: 0.5119 0.9981 0.2499
Sr: 0.0125 0.1690 0.4187
O: 0.2557 0.7384 0.7593
O: 0.2311 0.5650 0.0990
O: 0.0018 0.6454 0.3955
O: 0.7586 0.0913 0.5713
Ti: 0.5086 0.3376 0.3337
O: 0.7583 0.0641 0.0855
Ti: 0.0067 0.4993 0.0039
Ti: 0.0085 0.8314 0.3347
Ti: 0.5079 0.3343 0.8360
Ti: 0.0066 0.1675 0.6687
O: 0.7584 0.4258 0.9047
Ti: 0.5077 0.6695 0.6670
Sr: 0.5106 0.6672 0.9153
Sr: 0.0129 0.8353 0.0861
Ti: 0.5079 0.0003 0.5013
O: 0.2310 0.2767 0.2432
Ti: 0.5088 0.6658 0.1695
Ca: 0.4967 0.0009 0.7503
O: 0.7615 0.3967 0.4173
Ca: 0.4985 0.6665 0.4166
Sr: 0.0107 0.5025 0.7520
O: 0.4962 0.5222 0.2724
O: 0.2561 0.0994 0.5787
O: 0.0007 0.9865 0.7363
Ca: 0.9990 0.5002 0.2505
O: 0.7283 0.5556 0.0896
O: 0.4974 0.4875 0.7362
O: 0.9909 0.3469 0.5963
O: 0.2587 0.7696 0.2452
O: 0.7279 0.2674 0.2335
O: 0.9925 0.0156 0.2641
O: 0.7322 0.5980 0.5668
Ti: 0.0081 0.5025 0.4990
O: 0.9956 0.3170 0.0671
Ti: 0.5081 0.0018 0.0019

~~~~~

This record from the Materials Project describes an optimized crystal structure of Ca13Y6F43. The functional is GGA-PBE.

Symmetry: R3, No. 146

Unit cell a=10.389 b=10.389 c=10.389 alpha=110.64 beta=110.64 gamma=110.64
Positions (direct):
Ca (0.000, 0.000, 0.000)
Ca (0.031, 0.547, 0.337)
Ca (0.071, 0.127, 0.702)
Ca (0.127, 0.702, 0.071)
Ca (0.228, 0.863, 0.805)
Ca (0.337, 0.031, 0.547)
Ca (0.394, 0.601, 0.908)
Ca (0.547, 0.337, 0.031)
Ca (0.601, 0.908, 0.394)
Ca (0.702, 0.071, 0.127)
Ca (0.805, 0.228, 0.863)
Ca (0.863, 0.805, 0.228)
Ca (0.908, 0.394, 0.601)
Y (0.162, 0.273, 0.432)
Y (0.273, 0.432, 0.162)
Y (0.432, 0.162, 0.273)
Y (0.500, 0.773, 0.661)
Y (0.661, 0.500, 0.773)
Y (0.773, 0.661, 0.500)
F (0.003, 0.902, 0.747)
F (0.027, 0.198, 0.914)
F (0.060, 0.480, 0.107)
F (0.084, 0.284, 0.204)
F (0.089, 0.770, 0.295)
F (0.107, 0.060, 0.480)
F (0.123, 0.340, 0.651)
F (0.163, 0.629, 0.841)
F (0.198, 0.914, 0.027)
F (0.204, 0.084, 0.284)
F (0.263, 0.542, 0.558)
F (0.278, 0.814, 0.590)
F (0.284, 0.204, 0.084)
F (0.295, 0.089, 0.770)
F (0.313, 0.376, 0.942)
F (0.340, 0.651, 0.123)
F (0.354, 0.656, 0.387)
F (0.376, 0.942, 0.313)
F (0.381, 0.381, 0.381)
F (0.387, 0.354, 0.656)
F (0.451, 0.836, 0.875)
F (0.480, 0.107, 0.060)
F (0.542, 0.558, 0.263)
F (0.556, 0.995, 0.625)
F (0.558, 0.263, 0.542)
F (0.590, 0.278, 0.814)
F (0.591, 0.687, 0.827)
F (0.625, 0.556, 0.995)
F (0.629, 0.841, 0.163)
F (0.651, 0.123, 0.340)
F (0.656, 0.387, 0.354)
F (0.687, 0.827, 0.591)
F (0.747, 0.003, 0.902)
F (0.770, 0.295, 0.089)
F (0.814, 0.590, 0.278)
F (0.827, 0.591, 0.687)
F (0.836, 0.875, 0.451)
F (0.841, 0.163, 0.629)
F (0.875, 0.451, 0.836)
F (0.902, 0.747, 0.003)
F (0.914, 0.027, 0.198)
F (0.942, 0.313, 0.376)
F (0.995, 0.625, 0.556)

This record from the Materials Project describes an optimized crystal structure of Nb4Rh2C. The functional is GGA-PBE.

Symmetry: Fd-3m, No. 227

Unit cell a=8.477 b=8.477 c=8.477 alpha=60.00 beta=60.00 gamma=60.00
Positions (direct):
Nb (0.000, 0.000, 0.000)
Nb (0.000, 0.000, 0.500)
Nb (0.000, 0.500, 0.000)
Nb (0.192, 0.192, 0.558)
Nb (0.192, 0.558, 0.192)
Nb (0.192, 0.558, 0.558)
Nb (0.442, 0.442, 0.808)
Nb (0.442, 0.808, 0.442)
Nb (0.442, 0.808, 0.808)

## Work order
Now retype every line above that contains the word "Below".

## Completed
Below is a relaxed structure of Sr2CaTi3O9, with properties calculated at the GGA-PBE level.